Beneficial Reuse

As defined in LM’s 2020–2025 Strategic Plan, LM established a goal to “sustainably manage and optimize the use of land and assets.” The intent is to place DOE legacy sites and property in the most beneficial use consistent with LM’s mission. LM considers environmentally sound land uses for properties in its custody. Where possible, LM makes lands and facilities available for government, public, and private use consistent with the tenets of sustainability and good land management practices.

In 2017, LM revised its Beneficial Reuse Program and developed a Beneficial Reuse Management Plan (BRMP) to promote potential reuse opportunities associated with LM’s diverse mix of sites and assets.  The Beneficial Reuse Program supports and implements multiple-use scenarios in keeping with the vision of the surrounding communities and consistent with each site’s attributes. The BRMP outlines the types of reuse, goals and objectives of the program, criteria, metrics and planning of reuse activities.

Beneficial Reuse Award 2024

LM’s beneficial reuse refers to the productive use of an LM-managed site (LM site), that no longer has a DOE mission after remediation, by LM or other entities, while being protective of human health and the environment. Reuse activities maintain protective use of lands and remedies, including revitalization of real property and disposal of land. Two main elements for reuse are:

  1. Protectiveness—activities are compatible with long-term maintenance and ensure protection of public health and the environment
  2. Environmentally sound—activities retain good stewardship of natural resources

LM’s goal to sustainably manage and optimize the use of land and assets, supports DOE’s overall asset reuse program. The intent is to place DOE legacy sites and property in the most beneficial use that is consistent with LM’s mission. DOE has a growing number of aging facilities and sites no longer required for mission activities. Those sites form the basis of LM’s real property asset portfolio. The objectives are to:

  1. Dispose of surplus property held by the federal government
  2. Maintain efficient use of government real property assets
  3. Reduce the total square footage of domestic office and warehouse inventory

In order to support LM’s long-term surveillance and maintenance (LTS&M) mission and long-term stewardship of DOE assets, LM’s real property asset inventory will grow as sites are transitioned. Thus, LM’s transition approach includes initial assessments of the most effective uses or reuses of these properties that support LTS&M activities, while still protecting human health and the environment. Once a site becomes part of LM’s inventory, LM continues to make assessments on a periodic basis, as LTS&M activities progress and closure plans and strategies are implemented.

LM supports the beneficial reuse of its sites through the following reuse opportunities:

  • Disposal is defined as the “permanent transfer of DOE control and custody of real property assets to a third party who thereby acquires rights to control, use, or relinquish the property” (DOE Order 430.1C). Disposal is LM’s preferred reuse option because it reduces DOE’s overall land holdings, the federal footprint, and associated costs. Either a portion of a site or an entire site can be disposed.

    Wayne, New Jersey, Site

    Wayne, New Jersey, Site.

  • Agricultural reuse includes using LM sites for activities such as livestock grazing, hay production, and livestock improvements.

    Edgemont, South Dakota, Disposal Site

    Edgemont, South Dakota, Disposal Site.

  • Community reuse refers to the development of open space or recreational areas or using sites for educational purposes or community-driven activities. LM works with federal, state, and local community leaders; non-profit organizations; city planners; and other members of the public to identify appropriate land uses that will be compatible with current site conditions and with LM’s LTS&M obligations and responsibilities.

    Second Graders at Groundbreaking for the new Weldon Spring Interpretive Center

    Groundbreaking for the new Weldon Spring Interpretive Center.

  • Redevelopment or adaptive reuses of LM sites means (1) repurposing LM facilities or land for industrial use, (2) redeveloping sites for commercial purposes such as warehouse or office space, and (3) supporting redevelopment of a parcel of land through an interagency agreement or partnership.

    Middlesex South, New Jersey

    Middlesex South, New Jersey.

  • LM broadly defines energy-related reuse at LM sites as use of LM sites for energy-related activities such as solar photovoltaic (PV), wind, biomass, landfill gas, waste-to-energy, and geothermal technologies.

    Tuba City, Arizona, Disposal Site

    Solar panels at Tuba City, Arizona, Disposal Site.

[Between two parts of the article: data records]
........
Density functional theory data (wB97M-V/def2-TZVPD) for a 2-piece molecular cluster, C4H9N overall.

Atoms and positions in Å:
1 H 2.428 2.289 -1.923
2 C -1.664 -2.245 0.862
3 H -1.746 -3.011 1.574
4 H -2.189 -2.537 0.032
5 H 1.177 -1.798 1.579
6 H -0.325 2.871 -1.847
7 C 0.443 2.110 -1.690
8 H 0.606 -0.109 2.030
9 C -0.814 -1.296 0.863
10 N 1.556 2.681 -2.002
11 C 0.298 -1.102 1.809
12 H -0.801 -0.560 0.060
13 H 0.131 -1.837 2.759
14 H 0.255 1.128 -1.314

**2S+1**: 1
**Orbital gap**: 10.757 eV
**Structure (SMILES)**: C=CC.C=N
**Energy above the lowest of the compared OMol25 structures with the same formula, charge and spin**: 2.835 eV

Density functional theory data (wB97M-V/def2-TZVPD) for one molecule with the formula C6H9NO.

Atoms and positions in Å:
1 H -1.796 0.192 0.271
2 H -1.030 1.255 -1.760
3 H 1.474 0.653 1.512
4 H -1.630 -2.123 0.766
5 O 2.458 -0.461 -0.293
6 H -0.529 -2.579 -0.581
7 C 0.450 0.554 1.188
8 C 0.207 -0.769 0.506
9 C 0.138 1.531 -0.036
10 H -0.283 0.750 1.999
11 C 1.351 -0.872 -0.489
12 H 1.028 -1.190 -1.517
13 C -0.995 -0.322 -0.329
14 H -0.646 2.306 0.231
15 N -0.378 0.721 -1.184
16 C -0.850 -1.760 0.078
17 H 1.033 2.114 -0.361

**2S+1**: 1
**Orbital gap**: 9.915 eV
**Structure (SMILES)**: O=C[C@@]12CCN[C@H]1C2
**Energy above the lowest of the compared OMol25 structures with the same formula, charge and spin**: 4.201 eV

Density functional theory data (wB97M-V/def2-TZVPD) for a 3-piece molecular cluster, C2H10N2O3 overall.

Atoms and positions in Å:
1 H 0.338 0.785 1.931
2 H 1.986 0.442 1.503
3 O 1.510 -0.443 -0.794
4 C -0.876 -0.795 -0.053
5 H 1.975 -2.505 -2.007
6 N -2.019 0.206 -0.386
7 H -1.025 -1.196 0.939
8 O 1.654 -3.383 -2.267
9 H -2.913 -0.078 -0.749
10 C 0.632 -0.320 0.034
11 H -1.781 1.095 -0.731
12 O -0.079 3.279 1.397
13 H 0.503 3.842 1.974
14 H -0.921 3.771 1.482
15 H 0.776 -3.375 -2.738
16 N 1.002 0.332 1.296
17 H -0.762 -1.656 -0.833

**2S+1**: 1
**Orbital gap**: 9.767 eV
**Structure (SMILES)**: NCC(N)=O.O.O
**Energy above the lowest of the compared OMol25 structures with the same formula, charge and spin**: 1.915 eV

Density functional theory data (wB97M-V/def2-TZVPD) for a 11-piece molecular cluster, C39H68BN2O23S7 overall.

Atoms and positions in Å:
1 O -22.308 -0.033 11.154
2 H -25.258 2.904 14.650
3 H -18.910 9.015 6.758
4 O -22.229 13.464 11.485
5 O -22.714 7.810 8.954
6 H -22.056 -0.248 6.800
7 H -30.246 6.522 10.036
8 H -26.020 7.134 10.653
9 H -25.574 3.791 10.825
10 H -25.077 5.322 11.524
11 H -23.680 10.201 13.080
12 O -27.528 7.289 13.040
13 H -24.510 4.959 4.638
14 H -22.381 12.520 6.763
15 C -16.836 6.911 12.261
16 S -19.054 11.275 7.178
17 C -24.537 4.919 8.403
18 H -17.346 12.231 8.502
19 C -18.778 12.318 11.586
20 H -21.033 -1.587 9.288
21 C -22.899 11.661 7.187
22 H -20.302 11.789 13.936
23 C -19.660 4.870 5.781
24 H -23.180 8.122 5.014
25 O -23.112 3.889 6.676
26 O -27.689 3.440 12.250
27 C -24.562 6.982 3.795
28 H -23.683 1.208 8.171
29 C -29.497 8.001 11.380
........

  • Conservation reuse refers to the outcome of a remediation process and includes areas where a proactive measure has been implemented to create, restore, protect, or enhance a habitat.

    Fernald Preserve, Ohio

    Fernald Preserve, Ohio.

  • LM communicates the significant histories of its sites, the effectiveness of cleanup processes, and the residual risks to stakeholders in order to support LTS&M activities and any protective measures associated with the historic operations and closure of the site. Such methods of communication may include the engagement of stakeholders in the history of a site by means of signage, interpretive centers, listings on historic registers, and other informational devices.

    Weldon Spring Full Circle Exhibit

Misplaced molecular data:
........
# 1
Here is a cluster of 2 separate species, C7H14 in total from the Open Molecules 2025 dataset. Energies are from ωB97M-V/def2-TZVPD.

XYZ file:
```
21
C7H14 (ωB97M-V/def2-TZVPD)
H -1.601 -1.124 -1.481
H -1.599 2.023 0.610
C -0.627 0.191 -0.041
C -1.590 -0.061 -1.213
H -0.438 -0.425 2.047
H -1.020 -1.708 0.966
H -1.281 0.508 -2.097
H 1.286 -1.991 -1.821
C -0.597 1.678 0.327
H 2.562 0.539 2.196
H -0.249 2.288 -0.514
C 1.893 0.019 -0.993
H -2.102 -0.382 1.442
C 1.540 -1.439 -0.908
H -2.611 0.236 -0.946
C 0.724 -0.242 -0.506
H 0.076 1.852 1.174
H 2.001 -2.070 -0.141
H 2.641 0.729 -1.310
C -1.068 -0.634 1.176
H 2.059 0.015 2.032
```

Results
LUMO energy ... 1.00 eV
Kohn-Sham gap ... 0.3684 Ha
Energy relative to the best compared isomer or geometry (same formula, charge and spin) ... 75.9 kcal/mol
Energy ... -274.99527 a.u.

***

# 2
Here is a structure of composition C27H31BrClN6O6RuTe4 from the Open Molecules 2025 dataset. Energies are from ωB97M-V/def2-TZVPD.

XYZ file:
```
77
C27H31BrClN6O6RuTe4 (ωB97M-V/def2-TZVPD)
C -0.643 0.928 -2.804
H 6.178 4.287 -0.191
C 5.757 0.451 -5.288
C 6.019 5.299 -0.559
C -0.837 0.757 2.966
H 7.852 5.330 -2.408
C 5.454 6.729 -2.534
H -2.069 1.254 -4.645
C 3.224 4.835 -1.609
H -1.202 2.697 0.402
H -3.025 4.170 4.323
H -4.993 -0.063 -1.754
O -0.630 1.283 -3.992
C 3.279 3.189 -4.355
H -4.579 -1.088 0.728
H 2.909 3.461 -5.347
H 6.946 4.942 -3.859
C 6.983 4.787 -2.780
N -1.985 0.283 -0.834
H 2.390 3.094 -3.728
H 7.166 3.728 -2.589
C 3.390 0.714 -3.865
C -3.237 -0.016 -0.544
C 4.180 4.335 -3.872
H 2.423 5.010 -2.327
H 3.701 5.284 -4.126
Te 2.758 -3.273 1.658
C 2.600 2.843 1.160
H 5.212 5.735 0.030
H 2.460 0.805 -3.313
C -1.963 3.138 2.358
C 5.176 -0.650 -4.680
H -1.532 1.044 4.985
H -2.934 -0.886 1.354
N 3.191 3.888 0.635
H 3.390 5.762 -1.068
Br -0.051 -0.920 3.333
H 5.586 2.538 -5.673
C -2.053 2.663 3.666
H 5.261 6.779 -3.607
C 4.506 4.359 -2.364
N -4.002 0.099 -1.650
H -4.061 0.481 1.362
C 3.992 -0.530 -3.975
C -1.299 2.369 1.429
H 2.763 2.538 2.181
H 3.548 -1.398 -3.510
Ru 0.380 -0.066 0.021
O 0.371 0.837 -2.047
N 1.805 2.159 0.296
C 5.724 5.296 -2.063
H 6.919 5.886 -0.368
H 5.105 4.313 -4.448
H 1.439 2.616 -1.758
C -1.477 1.439 3.982
Te 0.761 -4.542 0.339
Te 2.886 -0.907 0.440
O -5.002 0.517 -4.173
C -1.947 0.586 -2.168
O -3.015 1.125 -4.983
O -2.678 3.333 4.652
N 2.734 3.888 -0.635
Cl 5.946 -2.204 -4.809
H 5.366 2.600 -2.476
C 5.136 1.686 -5.177
C 1.907 2.863 -0.820
C -3.815 0.709 -4.031
H -2.397 4.088 2.072
C 3.951 1.840 -4.460
N -0.739 1.192 1.717
Te -0.705 -2.561 -0.563
C -3.204 0.487 -2.696
O 4.773 3.056 -1.868
C -3.738 -0.399 0.802
H 6.331 7.345 -2.331
H 6.675 0.338 -5.847
H 4.612 7.189 -2.013
```

Results
LUMO energy (spin up / spin down) ... -0.38 / -2.17 eV
Kohn-Sham gap (spin up / spin down) ... 0.2362 / 0.1886 Ha
Energy relative to the best compared isomer or geometry (same formula, charge and spin) ... 0.0 kcal/mol
Multiplicity ... 6
Energy ... -6028.73865 a.u.

***
........

    Weldon Spring, Missouri, Site.

LM’s primary focus is on the LM sites that remain in federal ownership. However, LM may support partnership opportunities for beneficial reuse at non-LM-owned sites. Some LM sites are composed of multiple properties, thus the reuse program tracks individual properties at LM sites. As of March 2024, 51 properties were available for reuse with more than 95 percent of available LM sites in reuse.

LM Properties with Reuse March 2024

The Beneficial Reuse Team works closely with both internal and external organizations to develop beneficial reuse opportunities. Collaboration can involve a wide range of external and internal working relationships. Reuse activities can include supporting the LM site itself or adjacent land uses on properties that are owned or managed by multiple entities.

While the ultimate responsibility regarding beneficial reuse decisions on LM lands rests with LM, it is recognized that individuals, communities, and governments working together toward commonly understood objectives can significantly improve the stewardship of LM lands. Building collaborative partnerships can improve communication, create a better understanding of different perspectives, and provide better solutions for addressing issues.